Our Random Musings About Team

On the whiteboard in our office right now is a bunch of scribbling about ‘Team.’

For most agents, the move from individual to ‘team’ is unnerving. Here are some things to think about if you are considering making the move.

No Guarantee

Remember, there is no guarantee that forming a team will actually work. Anyone considering creating a team has to be extremely comfortable dissolving a team. In other words, imagine a point 6 or 12 months in the future where you look at your teammate, the person you have been training and grooming to deliver the best possible client experience, and have the guts to say ‘we are done.’

If you can’t see yourself pulling the plug, don’t start a team.

No Best Form

No one form of team is best. The type of team should be designed for a specific purpose. Don’t try to form a work-sharing team when you are really looking to ramp up your business. Which leads to …

You have to recognize the type of team you are forming. Some teams are formed for specific purposes (like to represent a neighborhood or development) while others are more in the spirit of Gary Keller’s MREA top-down model.

We identified another 3-4 basic structures, but any and all forms are legitimate, you just need to make sure that you (and your teammates) understand the structure and the purpose.

Management is Where it Falls Down

Forming a team and managing it are two different skills.

If you feel as if a team is the next logical step in your growth, but you are not comfortable with making decisions about employees, direction, quality control, accountability, and budget, then your team is fatally flawed on Day 1.

Management is about leadership and great leaders do more than just give speeches.

Systems, System, Systems

A team without systems is doomed to fail.

If you don’t have systems to aid in communication, lead tracking and follow up, transaction management and this thing called a ‘budget’ (anyone ever heard of this budget thing???), then, don’t start.

A goal without a plan is a wish.

Blame is not a Strategy

If someone isn’t pulling their weight, it is the leader’s fault.

If there is bickering over the split, it is the leader’s fault.

If the goals are not met, it is the leader’s fault.

If a client is not satisfied, it is the leader’s fault.

Notice a theme?

As a leader, you give credit, but you accept blame.

1+1=3 (or More!)

The best teams are formed to monetize excess opportunity. When one person has excess opportunity and another has excess capacity, teams tend to work really well.

If the team leader can make it rain for everyone, all is good.

Good Base = Good Growth

A properly built team grows organically. An improperly built team constantly fights uphill.

-- These data records were left in the entry by mistake --
1.
CuAg2P4O12: optimized geometry, PBE.

Energy with MP2020 corrections, eV/atom: -6.872
Space-group type: C2/c, No. 15
Formation energy, eV/f.u.: -39.779
M_tot, Bohr magnetons per cell: 2.00

```
38
Lattice="-7.994 -0.159 2.286 1.907 -7.104 -3.880 1.561 -3.823 6.813" Properties=species:S:1:pos:R:3 pbc="T T T"
O -1.876 -2.414 2.443
O 0.122 -5.351 2.237
O -2.823 -7.466 4.966
O 0.717 -5.597 4.720
O -0.675 -7.338 3.567
O -1.703 -3.620 0.253
O 1.104 -8.663 0.629
O 0.410 -5.032 -0.809
O -1.644 -5.025 4.109
O -0.989 -7.458 -0.323
O 2.373 -9.400 3.498
O -2.650 -8.671 2.776
O -3.851 -3.747 1.652
O -4.648 -5.734 2.982
O 1.263 -7.334 -1.533
O -4.935 -6.053 6.027
O -6.899 -1.685 1.720
O -5.243 -5.489 0.498
O -1.226 -9.498 4.743
O -3.537 -3.628 5.541
O -5.630 -2.423 4.590
O -3.300 -1.588 0.475
O -5.789 -3.751 6.752
O -2.882 -6.061 1.109
P -4.101 -5.344 1.650
P 1.209 -5.751 -1.883
P -2.674 -2.800 1.077
P 0.310 -8.211 -0.556
P -1.852 -8.286 4.142
P -4.836 -2.874 5.774
P -0.424 -5.741 3.569
P -5.735 -5.335 7.102
Cu -3.223 -5.551 5.154
Cu -1.302 -5.535 0.065
Ag 0.881 -3.423 0.952
Ag -3.326 -7.759 -0.921
Ag -5.407 -7.663 4.267
Ag -1.199 -3.327 6.140
```

=====

2.
CuAg10Pb3O12: optimized geometry, PBE.

Energy with MP2020 corrections, eV/atom: -4.692
Space-group type: C2, No. 5
Formation energy, eV/f.u.: -19.060
M_tot, Bohr magnetons per cell: 1.60

```
26
Lattice="3.410 -5.142 6.206 4.579 5.022 5.513 -3.020 0.690 5.027" Properties=species:S:1:pos:R:3 pbc="T T T"
Ag 3.996 2.963 12.358
Ag 5.961 -0.081 8.753
Ag 1.557 2.677 4.042
Ag 4.447 0.255 11.278
Ag 2.213 -2.430 5.153
Ag -0.990 0.666 7.992
Ag 4.230 2.662 9.119
Ag 0.523 0.310 5.469
Ag 1.311 2.873 7.289
Ag 2.186 -1.964 11.932
O 4.209 0.745 7.870
O 6.446 0.682 11.963
O 2.895 2.509 5.692
O 0.051 -0.490 2.268
O -1.339 1.082 4.701
O 3.617 -2.388 8.581
O 2.400 -0.409 6.183
O 2.630 2.883 10.725
O 4.775 -0.194 14.564
O 0.917 1.186 8.784
O 0.775 -2.066 8.508
O 2.445 -0.110 10.638
Cu 4.090 0.769 5.803
Pb 4.468 4.059 5.579
Pb 2.401 -0.443 8.423
Pb 2.000 -3.934 8.661
```

=====

3.
Cu2AgSe2O10: optimized geometry, PBE.

Energy with MP2020 corrections, eV/atom: -5.326
Space-group type: C2/m, No. 12
Formation energy, eV/f.u.: -12.385
M_tot, Bohr magnetons per cell: 1.00

```
15
Lattice="3.081 4.671 0.000 -3.081 4.671 0.000 0.000 4.199 7.046" Properties=species:S:1:pos:R:3 pbc="T T T"
O 0.000 3.214 0.346
O 0.000 9.514 3.684
O 0.000 4.028 3.362
O -1.670 7.471 5.355
O -1.670 6.071 1.692
O 1.670 6.071 1.692
O 0.000 8.385 1.193
O 0.000 5.156 5.854
O 0.000 10.328 6.700
O 1.670 7.471 5.355
Se 0.000 3.737 4.979
Se 0.000 9.805 2.068
Cu 1.540 2.336 0.000
Cu -1.540 2.336 0.000
Ag 0.000 6.771 3.523
```

=====

4.
CuAg4TeO6: optimized geometry, PBE.

Energy with MP2020 corrections, eV/atom: -4.824
Space-group type: C2/c, No. 15
Formation energy, eV/f.u.: -9.624
M_tot, Bohr magnetons per cell: 1.86

```
24
Lattice="4.939 5.741 0.000 -4.939 5.741 0.000 0.000 0.986 5.755" Properties=species:S:1:pos:R:3 pbc="T T T"
O 0.698 10.469 1.034

When you get the right pieces in place and everyone understands their role, the business flows. This is actually a hallmark of ALL successful teams — business, sports, entertainment — so you will know when you have it right.

Income increases AND the customer experience is enhanced.

You Have to ‘Sell Team

And this is key — you have to sell ‘team’ from day one.

When anyone in your organization meets with a client, they have to sell the concept of ‘team.’ All team members have to help the client understand that they will be dealing with different individuals at different points in the process — TO THE CLIENT BENEFIT.

Ambitious Teammates are Fine

An ambitious teammate is a great teammate, in my opinion.

We have seen several instances where a leader is hesitant to take on a newbie with an overactive ambition gene and who has declared that being on a team is temporary. Yes, the super-duper team member may be ‘one and done,’ but enjoy it while it lasts.

I’ll take ambition and gumption over the opposite any day.

The Comp Plan is Key

Commit to the comp plan and be willing to lose a teammate over it.

While arguing about money is never fun, you can’t try to square up every deal after it is done. Just because one was easy and one was hard does not mean you should adjust the pay each time.

Can you adjust the comp plan if it becomes abundantly clear that it is not fair? Yes. But adjusting it after every deal is an extremely bad idea.

Sorry, but if a team member wants to leave because they worked really hard on a deal and wants a bigger cut, you have to be willing to let them go.


Meet regularly and be willing to have hard conversations. If you can’t be direct and honest with one another, don’t form a team.

Good fences make good neighbors –– talk often and talk honestly.

We Could Go On and On

We probably have another 20 thoughts and observations, but we can save those for another day.

Just know that a properly constructed group (or team) will out-produce an individual any day — so a well-built team is inherently more powerful.

But as powerful as a good team can be, a bad one can be as destructive, if not more. So take team building seriously and don’t assume that simply saying you are team will work.

Don’t take team formation lightly and don’t enter into a relationship without a great deal of thought — it is harder than it looks.